### To do
It remains to filter the data further below: keep the lines with the word "pure".

### Contents
'''
DFT (PBEsol) results for a geometry-optimized AlCrRu2 structure.

It has space group Cmm2 (No. 35), with a = 2.817 Å, b = 4.430 Å, c = 8.429 Å, α = 90.00°, β = 90.00° and γ = 90.00°. The distinct sites, in fractional coordinates, are Al at (0.000, 0.000, 0.000), Cr at (0.000, 0.500, 0.752), Ru at (0.000, 0.000, 0.514) and Ru at (0.000, 0.500, 0.245).

Its energy of formation from the pure elements is 0.1887 eV/atom.
'''

### Result
Its energy of formation from the pure elements is 0.1887 eV/atom.